### Source
- - -
No. 1
Here is CBrClFI in the gas phase from OMol25. Energies are from ωB97M-V/def2-TZVPD.

```
5
Properties=species:S:1:pos:R:3:forces:R:3:lowdin_charge:R:1
Cl 0.674 2.469 -1.075 -0.20 0.48 -0.14 -0.2563
F -0.534 -0.371 1.619 0.04 0.50 -1.87 -0.1784
I 1.528 0.190 -0.334 -0.36 -0.57 0.15 0.9272
C -0.439 -0.284 0.250 -0.19 -2.07 1.50 -1.0245
Br -1.229 -2.004 -0.461 0.71 1.66 0.37 0.5320
```
Positions in Å, forces in eV/Å.

The calculation puts the LUMO energy (spin up / spin down) at -2.35 / -2.25 eV. As for the largest force on an atom: 0.0498 Eh/bohr. The value obtained for the orbital gap (spin up / spin down) is 6.62 / 7.63 eV. Its HOMO energy (spin up / spin down) is -8.97 / -9.88 eV. Its total charge is 0.

No. 2
Here is a molecular structure, C34H32Cl2N5O5V from OMol25. Energies are from ωB97M-V/def2-TZVPD.

```
79
Properties=species:S:1:pos:R:3:forces:R:3:mulliken_spin:R:1
C 4.318 -0.804 -3.461 0.01 -0.03 0.07 -0.0005
H -5.145 -3.703 3.088 0.01 0.00 -0.01 0.0014
H 2.802 -2.468 -2.201 -0.02 0.03 0.01 0.0001
H 1.594 2.455 1.837 0.01 0.01 -0.01 0.0035
H -2.433 4.740 0.358 -0.01 0.00 -0.01 -0.0002
C -3.802 3.164 0.889 0.00 -0.01 0.00 0.0150
H -0.457 3.224 0.360 0.00 0.01 0.02 0.0077
C -5.051 4.013 0.898 0.00 -0.01 -0.01 -0.0007
C 1.031 -2.250 -3.145 0.02 0.08 0.11 0.0033
H 2.801 1.983 4.478 -0.02 0.05 0.00 0.0007
H 4.745 -1.877 -0.205 0.01 -0.03 -0.02 -0.0005
H 2.766 2.701 -3.509 -0.01 0.00 0.00 -0.0002
C 2.410 0.638 -3.106 -0.06 0.01 -0.05 0.0006
H -5.863 3.509 -0.808 -0.01 0.00 0.00 -0.0004
C -3.889 1.806 1.172 0.03 0.00 -0.09 -0.0092
H -4.856 -0.732 1.348 -0.01 -0.02 0.01 -0.0021
C -2.565 -3.021 2.249 0.04 0.00 0.01 0.0067
H 6.134 0.134 -4.089 0.00 0.00 0.00 0.0000
H -5.439 4.071 1.915 0.02 0.02 0.01 0.0018
C -3.896 -1.163 1.583 0.02 -0.02 0.02 -0.0086
O -6.087 3.436 0.126 0.00 0.00 0.02 0.0019
H -2.508 -3.617 -4.096 0.00 0.00 0.00 0.0000
C -2.742 1.035 1.164 0.02 -0.04 0.05 0.0443
O -6.169 -2.610 1.647 0.00 -0.01 0.00 0.0001
C 0.795 0.851 5.512 0.00 0.02 0.00 0.0014
N -1.531 1.562 0.898 -0.82 0.28 -0.05 -0.1170
H -0.463 -2.597 2.336 0.02 -0.02 -0.04 -0.0115
H 4.733 -1.805 -3.480 0.00 -0.01 0.00 0.0001
Cl 1.056 -3.677 -0.838 -0.06 0.00 0.01 -0.0011
C 2.981 -0.640 -3.111 -0.11 0.00 0.06 0.0030
C 0.320 -3.140 -2.327 -0.05 -0.06 0.05 -0.0014
C -3.817 -2.495 1.956 -0.03 -0.01 0.01 0.0116
O 0.174 0.835 3.208 -0.06 0.04 -0.17 -0.0604
C 1.003 1.171 4.058 0.05 0.04 -0.04 0.0152
H -4.898 -4.242 1.421 -0.01 0.01 0.00 0.0015
O 1.172 1.457 -0.416 -0.16 0.01 0.13 0.0157
C -1.447 2.861 0.610 0.02 -0.06 -0.05 0.0485
C -5.043 -3.358 2.053 0.00 0.01 0.01 -0.0022
H 5.128 2.407 -4.132 0.01 0.00 0.01 0.0000
H 2.472 -1.998 0.764 0.02 0.07 -0.02 -0.0223
C 4.461 1.203 1.143 0.01 -0.01 0.02 -0.0039
C -1.527 -3.247 -3.833 0.02 0.01 0.02 0.0003
C 3.205 1.711 -3.491 0.01 0.01 0.05 0.0006
C 3.060 -1.094 0.861 -0.01 -0.13 0.06 0.0359
H -4.851 1.365 1.390 -0.01 0.03 0.01 -0.0009
H 0.276 0.294 -3.341 0.03 0.00 0.13 -0.0014
C -2.735 -0.412 1.502 0.03 0.05 0.03 0.0460
C 2.498 2.177 2.381 -0.04 0.04 0.01 0.0468
C -1.454 -2.214 2.125 0.04 -0.02 -0.05 0.0525
O -0.096 -0.262 -0.873 0.12 -0.26 -0.51 -0.0764
C 0.422 -1.939 -4.366 -0.02 -0.04 -0.09 0.0010
H 0.977 1.721 6.141 0.01 0.00 0.00 0.0006
H -1.272 -2.116 -5.640 0.00 0.00 -0.01 0.0000
H -2.448 -4.050 2.562 0.00 -0.01 0.00 -0.0003
C 0.964 0.883 -2.735 0.01 0.08 0.02 0.0010
C -0.846 -2.404 -4.689 0.02 -0.01 0.02 -0.0001
C 5.043 0.152 0.450 0.00 -0.01 0.00 0.0029
H 0.752 1.938 -2.919 -0.02 0.00 -0.06 -0.0001
H -0.222 0.500 5.655 0.00 0.00 0.00 -0.0002
H 3.142 3.053 2.414 0.01 -0.01 0.00 0.0038
H 1.488 0.062 5.811 -0.01 -0.01 0.00 0.0001
H -4.814 5.031 0.577 -0.01 -0.01 -0.03 0.0001
H 6.033 0.253 0.028 0.00 0.00 -0.01 0.0005
H 4.987 2.139 1.277 0.00 0.00 0.00 -0.0005
N 2.484 -0.082 1.511 -0.29 -0.25 -0.22 0.0585
N 2.125 1.838 3.746 0.03 -0.12 0.01 0.0001
C 4.538 1.550 -3.836 0.01 0.00 0.00 -0.0001
C -0.923 -3.639 -2.648 -0.01 0.00 -0.02 -0.0002
Cl 1.242 -1.010 -5.585 0.04 -0.03 0.03 0.0000
- - -
### Assignment
Could you restate the lines further above up to the one that holds "3.208 -0.06", that line included?
### Outcome
No. 1
Here is CBrClFI in the gas phase from OMol25. Energies are from ωB97M-V/def2-TZVPD.

```
5
Properties=species:S:1:pos:R:3:forces:R:3:lowdin_charge:R:1
Cl 0.674 2.469 -1.075 -0.20 0.48 -0.14 -0.2563
F -0.534 -0.371 1.619 0.04 0.50 -1.87 -0.1784
I 1.528 0.190 -0.334 -0.36 -0.57 0.15 0.9272
C -0.439 -0.284 0.250 -0.19 -2.07 1.50 -1.0245
Br -1.229 -2.004 -0.461 0.71 1.66 0.37 0.5320
```
Positions in Å, forces in eV/Å.

The calculation puts the LUMO energy (spin up / spin down) at -2.35 / -2.25 eV. As for the largest force on an atom: 0.0498 Eh/bohr. The value obtained for the orbital gap (spin up / spin down) is 6.62 / 7.63 eV. Its HOMO energy (spin up / spin down) is -8.97 / -9.88 eV. Its total charge is 0.

No. 2
Here is a molecular structure, C34H32Cl2N5O5V from OMol25. Energies are from ωB97M-V/def2-TZVPD.

```
79
Properties=species:S:1:pos:R:3:forces:R:3:mulliken_spin:R:1
C 4.318 -0.804 -3.461 0.01 -0.03 0.07 -0.0005
H -5.145 -3.703 3.088 0.01 0.00 -0.01 0.0014
H 2.802 -2.468 -2.201 -0.02 0.03 0.01 0.0001
H 1.594 2.455 1.837 0.01 0.01 -0.01 0.0035
H -2.433 4.740 0.358 -0.01 0.00 -0.01 -0.0002
C -3.802 3.164 0.889 0.00 -0.01 0.00 0.0150
H -0.457 3.224 0.360 0.00 0.01 0.02 0.0077
C -5.051 4.013 0.898 0.00 -0.01 -0.01 -0.0007
C 1.031 -2.250 -3.145 0.02 0.08 0.11 0.0033
H 2.801 1.983 4.478 -0.02 0.05 0.00 0.0007
H 4.745 -1.877 -0.205 0.01 -0.03 -0.02 -0.0005
H 2.766 2.701 -3.509 -0.01 0.00 0.00 -0.0002
C 2.410 0.638 -3.106 -0.06 0.01 -0.05 0.0006
H -5.863 3.509 -0.808 -0.01 0.00 0.00 -0.0004
C -3.889 1.806 1.172 0.03 0.00 -0.09 -0.0092
H -4.856 -0.732 1.348 -0.01 -0.02 0.01 -0.0021
C -2.565 -3.021 2.249 0.04 0.00 0.01 0.0067
H 6.134 0.134 -4.089 0.00 0.00 0.00 0.0000
H -5.439 4.071 1.915 0.02 0.02 0.01 0.0018
C -3.896 -1.163 1.583 0.02 -0.02 0.02 -0.0086
O -6.087 3.436 0.126 0.00 0.00 0.02 0.0019
H -2.508 -3.617 -4.096 0.00 0.00 0.00 0.0000
C -2.742 1.035 1.164 0.02 -0.04 0.05 0.0443
O -6.169 -2.610 1.647 0.00 -0.01 0.00 0.0001
C 0.795 0.851 5.512 0.00 0.02 0.00 0.0014
N -1.531 1.562 0.898 -0.82 0.28 -0.05 -0.1170
H -0.463 -2.597 2.336 0.02 -0.02 -0.04 -0.0115
H 4.733 -1.805 -3.480 0.00 -0.01 0.00 0.0001
Cl 1.056 -3.677 -0.838 -0.06 0.00 0.01 -0.0011
C 2.981 -0.640 -3.111 -0.11 0.00 0.06 0.0030
C 0.320 -3.140 -2.327 -0.05 -0.06 0.05 -0.0014
C -3.817 -2.495 1.956 -0.03 -0.01 0.01 0.0116
O 0.174 0.835 3.208 -0.06 0.04 -0.17 -0.0604